Race in the Machine
A Novel Account
Quincy Thomas Stewart


Contents and Abstracts
1 The Race Code / Evolution of Cognition (Interlude 1)
chapter abstract

== Records of crystals that have nothing to do with the text ==
=====
Entry 1:
# K3Er7S12

K3Er7S12 after structural relaxation (r2SCAN, Materials Project).

Computed properties:
Calculated formation energy ... -49.75 eV/f.u.
SG ... No. 31

Cell: 3.938 11.850 24.524 Å, 90.00 90.00 90.00°
Element x y z (fractional)
K 0.500 0.549 0.131
K 0.500 0.943 0.861
K 0.000 0.057 0.361
K 0.000 0.451 0.631
K 0.500 0.810 0.472
K 0.000 0.190 0.972
Er 0.500 0.313 0.820
Er 0.500 0.192 0.179
Er 0.000 0.808 0.679
Er 0.000 0.687 0.320
Er 0.000 0.245 0.499
Er 0.500 0.755 0.999
Er 0.500 0.478 0.422
Er 0.500 0.020 0.581
Er 0.000 0.980 0.081
Er 0.000 0.522 0.922
Er 0.500 0.645 0.789
Er 0.500 0.854 0.211
Er 0.000 0.146 0.711
Er 0.000 0.355 0.289
S 0.500 0.519 0.308
S 0.500 0.980 0.693
S 0.000 0.020 0.193
S 0.000 0.481 0.808
S 0.500 0.657 0.679
S 0.500 0.841 0.323
S 0.000 0.159 0.823
S 0.000 0.343 0.179
S 0.500 0.395 0.522
S 0.500 0.089 0.477
S 0.000 0.911 0.977
S 0.000 0.605 0.022
S 0.500 0.367 0.926
S 0.500 0.134 0.073
S 0.000 0.866 0.573
S 0.000 0.633 0.426
S 0.500 0.295 0.712
S 0.500 0.206 0.287
S 0.000 0.794 0.787
S 0.000 0.705 0.212
S 0.500 0.671 0.898
S 0.500 0.830 0.102
S 0.000 0.170 0.602
S 0.000 0.329 0.398

=====

Entry 2:
# KErTe2

KErTe2 after structural relaxation (r2SCAN, Materials Project).

Computed properties:
Calculated formation energy ... -6.54 eV/f.u.
SG ... No. 166

Cell: 8.556 8.556 8.556 Å, 30.18 30.18 30.18°
Element x y z (fractional)
K 0.500 0.500 0.500
Er 0.000 0.000 0.000
Te 0.264 0.264 0.264
Te 0.736 0.736 0.736

=====

E_tot, record by record: -18.259, -24.329 eV/atom
Spin magnetization, record by record: 0.000, 0.000 μB per atom
=====
== So much for the records of crystals ==

Part 1 is a literature review which introduces an ambiguous narrator amidst imaginatively exploring the question, "what is race?" The protagonist, a frustrated social mechanic (i.e., scientist) living in a world of intelligent machines which connect to create large social machines, imparts an academic account about this slightly odd mechanical world with significant racial inequality. Over the course of this part, the account reviews several theories of race and, building on research in status construction, considers how race "happens" at the nexus of several competing and complementary theories. Additionally, the part presents important scientific concepts and key theatrical characters.

2 Building a Simple Machine / The Mythical Statistic (Interlude 2)
chapter abstract

Part 2 is the methods section where the protagonist introduces the agent-based modeling approach and, simultaneously, further develops both the characters and narrative landscape. This part reviews several simple, accessible computational models, including the El-Farol bar problem and the works of Thomas Schelling and Robert Axelrod on segregation and cooperation, respectively. Furthermore, the narrative outlines the details of the Nash Bargaining game, a computational model which draws on the nexus of theories behind race, that is used to grow racial inequality in a population of artificial agents.

3 Big Bad Racists, Subtle Prejudice and Minority Victims / The Time Bender Problem (Interlude 3)
chapter abstract

Part 3 is the first of two substantive parts. This part showcases the initial results using a series of graphs alongside analogies to highlight how the models work. The narrative transitions from revealing the egalitarian outcomes of the baseline models and the role of racists in perpetuating inequality to the large, persistent racial inequities observed in models where we allow non-racists agents to learn to use bias (i.e., subtle prejudice). In addition, this part further develops relationships between characters and presents a sub-climactic interaction where the protagonist is forced to perform an analysis of empirical data.

4 Structures Set the Stage / The Power of Bending (Interlude 4)
chapter abstract

Part 4 is the second of two substantive parts. Here, the narrative reintroduces structural theory, those large, routinized patterns of interaction that guide social behaviors, and presents results on how large structures shape the experience of race. This part sheds new light on how population composition, intergroup contact and extremely high levels of discrimination uniquely interact and contribute to racial inequality in a social system. Additionally, this part details a peculiar sub-climactic encounter in which an ambiguous character questions the veracity of the protagonist and practicality of the computational model.

5 Race in the Mad4 Wild / The Song of the Sacred Method (Interlude 5)
chapter abstract

**Inserted here: crystal structures**
~~~
(1)
Density functional theory data (PBE) for a relaxed Er2ReB6 crystal.

Cell and atoms, written as POSCAR:
```
Er2ReB6
1.0
9.136 0.000 0.000
0.000 11.515 0.000
0.000 0.000 3.651
Er Re B
8 4 24
Cartesian
0.514 1.496 0.000
1.608 4.765 0.000
2.960 10.522 0.000
4.054 7.253 0.000
5.082 4.262 0.000
6.176 0.992 0.000
7.528 6.749 0.000
8.622 10.019 0.000
1.268 7.818 0.000
3.300 2.060 0.000
5.836 9.454 0.000
7.868 3.697 0.000
0.159 3.314 1.826
0.488 6.526 1.826
0.917 11.190 1.826
1.203 9.377 1.826
1.890 2.697 1.826
2.282 0.925 1.826
2.286 6.682 1.826
2.678 8.454 1.826
3.365 3.620 1.826
3.651 5.433 1.826
4.080 0.769 1.826
4.409 9.072 1.826
4.727 2.443 1.826
5.056 10.746 1.826
5.486 6.081 1.826
5.771 7.895 1.826
6.458 3.060 1.826
6.850 4.832 1.826
6.854 10.590 1.826
7.246 8.818 1.826
7.933 2.137 1.826
8.219 0.324 1.826
8.648 4.988 1.826
8.977 8.200 1.826
```

Summary:
Calculated volume = 10.67 Å³/atom
E = -7.51 eV per atom

(2)
Density functional theory data (PBE) for a relaxed TlH crystal.

Cell and atoms, written as POSCAR:
```
TlH
1.0
3.891 0.000 0.000
-1.946 3.370 0.000
0.000 0.000 6.568
Tl H
2 2
Cartesian
0.000 2.247 0.000
1.946 1.123 3.284
0.000 2.247 4.185
1.946 1.123 0.901
```

Summary:
Calculated volume = 21.53 Å³/atom
M_tot = 0.00 μB/atom
E = -2.43 eV per atom

(3)
Density functional theory data (PBE) for a relaxed La3AlCrS7 crystal.

Cell and atoms, written as POSCAR:
```
La3AlCrS7
1.0
10.214 0.000 0.000
-5.107 8.846 0.000
0.000 0.000 6.050
La Al Cr S
6 2 2 14
Cartesian
-0.464 3.309 0.000
-2.009 7.593 0.000
2.633 2.057 3.025
2.474 6.789 0.000
7.116 1.252 3.025
5.571 5.537 3.025
0.000 5.897 2.537
5.107 2.949 5.562
0.000 0.000 1.699
0.000 0.000 4.724
-0.275 2.027 3.224
-1.944 5.134 1.668
-3.214 8.070 3.224
1.618 1.252 0.199
0.000 5.897 4.764
1.633 4.595 1.668
0.311 7.962 1.668
4.796 0.883 4.693
3.474 4.251 4.693
5.107 2.949 1.739
3.489 7.594 3.224
8.321 0.775 0.199
7.051 3.711 4.693
5.382 6.818 0.199
```

Summary:
Calculated volume = 22.78 Å³/atom
M_tot = 0.33 μB/atom
E = -6.48 eV per atom

Number 1: density 10.13 g cm⁻³, E_form -0.66 eV per atom. Number 2: density 7.92 g cm⁻³, E_form 0.36 eV per atom. Number 3: density 4.38 g cm⁻³, E_form -2.01 eV per atom.

=====

Entry P
V2OF5 | PBE+U | optimized geometry

Properties
Space group   C2
Size of the total moment   3.0 μB/f.u.
Volume   94.7 Å³/f.u.

Lattice parameters (Å, degrees): 4.8886 4.8886 4.5869 91.38 91.38 59.83
Closest atoms and distances in Å follow each position.
Fractional coordinates of all 8 atoms:
1 V 0.1567 0.1567 0.2357  1 O 1.77, 4 F 1.93-1.98
2 V 0.8433 0.8433 0.7643  1 O 1.77, 4 F 1.93-1.98
3 O 0.1080 0.8920 0.0000  2 V 1.77
4 F 0.1253 0.5113 0.5013  2 V 1.93-2.04
5 F 0.4862 0.1539 0.0032  2 V 1.95-1.98
6 F 0.4887 0.8747 0.4987  2 V 1.93-2.04
7 F 0.8464 0.1536 0.5000  2 V 1.97
8 F 0.8461 0.5138 0.9968  2 V 1.95-1.98

---

Entry Q
V2OF5 | PBE+U | optimized geometry

Properties
Space group   P3
Size of the total moment   3.0 μB/f.u.
Volume   97.6 Å³/f.u.
~~~

Part 5 is a discussion section where the protagonist encounters an entire crowd of characters engaging one another about the validity of the computational models. The narrative openly considers: Do real social actors host and employ subtle prejudice? Do they behave like the agents in the simulations? In the context of both dialogue and short research posts, the account reviews research on housing, hiring, health care and implicit attitudes, methodically assessing the extent to which the results of existing social scientific research are in line with the simulations. Although the discussion reveals clear evidence of actors employing subtle prejudice, Part 5 culminates with the crowd still pressing the protagonist to explain what this all means.

6 The Theoretical Apogee / Exodus (Coda)
chapter abstract

Part 6 is the conclusion section where the narrative turns to the explore the real world implications of the simulations. The part contains the culmination of a dream sequence which presents a general model of racial inequality—systemic imbalance. From this theoretical vantage, using a mix of storytelling and dialogue, the narrative in Part 6 adeptly highlights that racial inequities are much deeper than a nuanced set of outcomes in a popular statistical model. Rather, they emerge from a simple shared algorithm that has infected civil society.

Afterword: A Conversation with the Author
chapter abstract

**Records of crystals that have nothing to do with the page:**
-- begin --
Er2Ga9Co3: relaxed, PBE.

Results
As for the formation energy: -0.481 eV per atom. As for the raw total energy: -0.1692 hartree per atom.

Lattice parameters (Å, degrees): 12.689 7.356 9.358 90.00 90.00 90.00
Space group Cmcm (No. 63)
Unique sites:
Er (0.164, 0.167, 0.250) [8 per cell]
Ga (0.000, 0.120, 0.750) [4 per cell]
Ga (0.000, 0.333, 0.059) [8 per cell]
Ga (0.108, 0.444, 0.750) [8 per cell]
Ga (0.167, 0.167, 0.573) [16 per cell]
Co (0.000, 0.000, 0.000) [4 per cell]
Co (0.171, 0.500, 0.000) [8 per cell]

=====

# 1
Entry from the Materials Project: a relaxed Cr3Ni2O12 crystal (PBE with a Hubbard U).

Properties
SG = No. 14
Total moment = 8.0 Bohr magnetons per cell
Uncorrected energy = -6.10 eV per atom

```
Cr3Ni2O12
1.0
8.6809 -0.0102 0.0000
-0.1781 12.3126 0.0000
0.0000 0.0000 9.0366
Cr Ni O
12 8 48
direct
0.0349 0.4894 0.2539
0.1087 0.8484 0.3785
0.1085 0.1411 0.1116
0.3913 0.6516 0.8785
0.3915 0.3589 0.6116
0.4651 0.0106 0.7539
0.5349 0.9894 0.2461
0.6085 0.6411 0.3884
0.6087 0.3484 0.1215
0.8915 0.8589 0.8884
0.8913 0.1516 0.6215
0.9651 0.5106 0.7461
0.2532 0.8859 0.0284
0.2468 0.6141 0.5284
0.2526 0.3813 0.9707
0.2474 0.1187 0.4707
0.7526 0.8813 0.5293
0.7474 0.6187 0.0293
0.7532 0.3859 0.4716
0.7468 0.1141 0.9716
0.0703 0.4494 0.8708
0.0767 0.9011 0.8856
0.0678 0.6125 0.6637
0.0685 0.1896 0.5766
0.0935 0.5858 0.3726
0.1201 0.8396 0.1916
0.1390 0.9753 0.4302
0.1282 0.2433 0.9947
0.1585 0.1791 0.2800
0.1845 0.4321 0.1747
0.2363 0.7711 0.4671
0.2637 0.7289 0.9671
0.2293 0.0424 0.0590
0.2707 0.4576 0.5590
0.3155 0.0679 0.6747
0.3415 0.3209 0.7800
0.3610 0.5247 0.9302
0.3718 0.2567 0.4947
0.3799 0.6604 0.6916
0.4065 0.9142 0.8726
0.4322 0.8875 0.1637
0.4233 0.5989 0.3856
0.4315 0.3104 0.0766
0.4297 0.0506 0.3708
0.5703 0.9494 0.6292
0.5685 0.6896 0.9234
0.5767 0.4011 0.6144
0.5678 0.1125 0.8363
0.5935 0.0858 0.1274
0.6201 0.3396 0.3084
0.6282 0.7433 0.5053
0.6390 0.4753 0.0698
0.6585 0.6791 0.2200
0.6845 0.9321 0.3253
0.7293 0.5424 0.4410
0.7707 0.9576 0.9410
0.7363 0.2711 0.0329
0.7637 0.2289 0.5329
0.8155 0.5679 0.8253
0.8415 0.8209 0.7200
0.8718 0.7567 0.0053
0.8610 0.0247 0.5698
0.8799 0.1604 0.8084
0.9065 0.4142 0.6274
0.9315 0.8104 0.4234
0.9322 0.3875 0.3363
0.9233 0.0989 0.1144
0.9297 0.5506 0.1292
```

=====

# 2
Entry from the Materials Project: a relaxed CrNiPO5 crystal (PBE with a Hubbard U).

Properties
SG = No. 15
Uncorrected energy = -6.99 eV per atom

```
CrNiPO5
1.0
-4.6782 2.1462 -1.5900
-2.6043 -3.1350 3.5228
-3.0641 3.8608 5.2310
Cr Ni P O
2 2 2 10
direct
0.5000 0.5000 0.0000
0.0000 0.0000 0.5000
0.5000 0.0000 0.5000
0.5000 0.0000 0.0000
0.8801 0.6199 0.2500
0.1199 0.3801 0.7500
0.6341 0.8659 0.7500
0.3659 0.1341 0.2500
0.2993 0.3173 0.8818
0.8173 0.7993 0.3818
0.7007 0.6827 0.1182
0.1827 0.2007 0.6182
0.8119 0.3117 0.3914
0.8117 0.3119 0.8914
0.1881 0.6883 0.6086
0.1883 0.6881 0.1086
```

=====

# 3
Entry from the Materials Project: a relaxed CrNi3P4O16 crystal (PBE with a Hubbard U).

Properties
SG = No. 6
-- stop --

The Afterword is a Q & A with the author. The author casually engages a series of unseen questions on topics ranging from the genre of the manuscript, to the applicability of the computational model to racial inequities in the real world, to the implications for policies that endeavor to eradicate racial inequality.